Exercise & Motivation Advice

I'm right at the edge of being considered overweight. I've lost some pounds already, and feel great about that, but the only place I seem to gain any weight is in my belly. I feel so down and silly all the time at the way I look, but don't know what types of exercise would be best for me or how to stay motivated. Any advice?


  • dpriceee
    dpriceee Posts: 2 Member
    There is beauty in all sizes and shapes, so embrace yourself and appreciate your beauty along with everyone else's. It is so exciting to hear you are making a healthy journey. Moving your body will help decrease weight and shrink your belly. Building muscle through exercises burns more calories and in turn helps you lose weight. Since you are saying you carry most of your extra weight in your belly, you will see that decrease as you take off the few pounds you are saying that would make you healthy. Measure you belly to see that your efforts are paying off. Stay on the healthy path, friend.
  • MinnieInMaine
    MinnieInMaine Posts: 6,400 Member
    There is no way to spot reduce - as you lose pounds, you will also start losing the belly. A good balance of cardio and all over strength training (don't just do ab work thinking that will fix it) is the trick. Since you're concerned about motivation though, I'll also say that whatever exercise you enjoy and will do consistently will be the right one. It ultimately doesn't matter what you do as long as you get off your rear and get moving. Put on music and dance around, try a few different classes, swim, bike, run, etc.

(Misplaced materials data)
/*
1.
Li3Fe2F7: simulated X-ray powder pattern (Cu Kα (λ = 1.5418 Å)), based on the PBE+U geometry in the Materials Project.
Kinematic intensities with the Lorentz-polarization factor, no thermal factor.

Cell lengths 7.683, 10.512, 9.600 Å; angles 90.00, 125.55, 90.00 degrees
Fractional positions:
Li 0.112 0.087 0.300
Li 0.112 0.413 0.800
Li 0.262 0.587 0.221
Li 0.262 0.913 0.721
Li 0.360 0.706 0.972
Li 0.360 0.794 0.472
Li 0.640 0.206 0.528
Li 0.640 0.294 0.028
Li 0.738 0.087 0.279
Li 0.738 0.413 0.779
Li 0.888 0.587 0.200
Li 0.888 0.913 0.700
Fe 0.239 0.585 0.611
Fe 0.239 0.915 0.111
Fe 0.286 0.220 0.624
Fe 0.286 0.280 0.124
Fe 0.714 0.720 0.876
Fe 0.714 0.780 0.376
Fe 0.761 0.085 0.889
Fe 0.761 0.415 0.389
F 0.020 0.124 0.447
F 0.020 0.376 0.947
F 0.124 0.111 0.084
F 0.124 0.389 0.584
F 0.198 0.586 0.798
F 0.198 0.914 0.298
F 0.222 0.623 0.398
F 0.222 0.877 0.898
F 0.349 0.203 0.439
F 0.349 0.297 0.939
F 0.395 0.724 0.189
F 0.395 0.776 0.689
F 0.431 0.051 0.749
F 0.431 0.449 0.249
F 0.569 0.551 0.751
F 0.569 0.949 0.251
F 0.605 0.224 0.311
F 0.605 0.276 0.811
F 0.651 0.703 0.061
F 0.651 0.797 0.561
F 0.778 0.123 0.102
F 0.778 0.377 0.602
F 0.802 0.086 0.702
F 0.802 0.414 0.202
F 0.876 0.611 0.416
F 0.876 0.889 0.916
F 0.980 0.624 0.053
F 0.980 0.876 0.553

Largest 10 diffraction maxima, low angle first, 10 to 90 degrees two-theta:
d_spacing  I/Imax
6.268  18
6.062  24
4.793  100
4.289  60
3.127  40
3.056  59
2.397  39
2.388  19
2.030  16
1.791  22



2.
K8Li9Mn4O16: simulated X-ray powder pattern (Cu Kα (λ = 1.5418 Å)), based on the PBE+U geometry in the Materials Project.
Kinematic intensities with the Lorentz-polarization factor, no thermal factor.

Cell lengths 5.620, 8.754, 10.674 Å; angles 88.99, 78.57, 89.63 degrees
Fractional positions:
K 0.000 0.000 0.000
K 0.015 0.269 0.546
K 0.264 0.705 0.749
K 0.289 0.988 0.301
K 0.478 0.498 0.494
K 0.518 0.209 0.050
K 0.740 0.772 0.251
K 0.806 0.460 0.794
Li 0.038 0.542 0.352
Li 0.242 0.447 0.945
Li 0.333 0.977 0.578
Li 0.442 0.479 0.218
Li 0.525 0.945 0.849
Li 0.721 0.721 0.946
Li 0.740 0.039 0.448
Li 0.833 0.499 0.077
Li 0.935 0.999 0.724
Mn 0.288 0.696 0.084
Mn 0.435 0.197 0.723
Mn 0.830 0.782 0.580
Mn 0.943 0.284 0.227
O 0.004 0.963 0.537
O 0.008 0.298 0.053
O 0.036 0.660 0.989
O 0.194 0.331 0.300
O 0.263 0.014 0.763
O 0.282 0.680 0.258
O 0.334 0.393 0.754
O 0.466 0.882 0.030
O 0.501 0.185 0.551
O 0.513 0.521 0.025
O 0.583 0.835 0.503
O 0.688 0.148 0.796
O 0.769 0.788 0.758
O 0.771 0.466 0.266
O 0.838 0.087 0.256
O 0.933 0.588 0.549

Largest 10 diffraction maxima, low angle first, 10 to 90 degrees two-theta:
d_spacing  I/Imax
5.230  32
4.016  100
3.329  24
2.713  34
2.665  66
2.630  71
2.615  71
2.587  33
2.579  61
1.626  24



3.
Mn2NbFe3P6O24: simulated X-ray powder pattern (Cu Kα (λ = 1.5418 Å)), based on the PBE+U geometry in the Materials Project.
Kinematic intensities with the Lorentz-polarization factor, no thermal factor.
*/

    Good luck!
  • khd8n
    khd8n Posts: 16 Member
    Unfortunately, spot exercises don't work, so there's nothing you can do specifically to shrink your belly fat. Some form of cardio and full-body weight training is the way to go (along with eating at a deficit).

    The best way I heard it explained was to imagine your body is a sponge. You can't squeeze water out of just a corner of a sponge, and you can't squeeze fat out of just a part of your body. You have to wring the whole thing out! Keep it up and good luck!
  • TeaBea
    TeaBea Posts: 14,517 Member
    The best exercise is something you enjoy doing. Cardio for burning calories and heart health. Strength (or resistance) training for muscle & bone health. Also necessary to help you keep more muscle while dieting. Yoga - for balance & flexibility. Some forms of yoga have a resistance training aspect.

    If you're not sure what you like, try a bunch of things out. YouTube has tons of free stuff. Hulu.com has a fitness channel. Your local library, perhaps your cable provider has a fitness channel. Look for something that you can learn to like. Being fit will help change your outlook.
  • Walter__
    Walter__ Posts: 518 Member
    The best exercise is something you enjoy doing. Cardio for burning calories and heart health. Strength (or resistance) training for muscle & bone health. Also necessary to help you keep more muscle while dieting. Yoga - for balance & flexibility. Some forms of yoga have a resistance training aspect.

    If you're not sure what you like, try a bunch of things out. YouTube has tons of free stuff. Hulu.com has a fitness channel. Your local library, perhaps your cable provider has a fitness channel. Look for something that you can learn to like. Being fit will help change your outlook.

    ^ Perfect advice here.

    This is exactly what I was going to say - do exercises that you enjoy doing. If you hate it, you're going to stop doing it.
  • JennyGator
    Thanks guys. You don't realize how much a little support can lift your spirits. I really like the sponge reference...that's a good one :smile: